
Living in the land of clouds

Wednesday, September 26, 2012

Ideally, this country would have two strong political parties that are evenly matched, one just to the right of center, one just to the left.

Not radically right or left, just a little bit.

In each legislative and congressional district each party would be so balanced in support that the candidates would have to seek middle-of-the-road compromise positions if they were to win over the centrist independents who would always be the deciding factor in an election. The candidates would be forced to be responsive to the people under those conditions, because they wouldn't get elected or re-elected if they didn't.

There's a wonderful word I first learned in German for that kind of thinking. Roughly translated, "wolkenkuckucksheim" means "cloud cockcoo land." It's the name of a perfect city built in the clouds by the main characters in a play ("The Birds") by the ancient Greek playwright Aristophanes.

It means I'm dreaming if I think that will happen.

(Someone pasted materials data at this point)
Diffraction record for Ta3Re10. The XRD peak list is calculated, not measured: it uses a crystal structure in OQMD, relaxed with PBE and copper Kα.

Top 10 peaks for 2θ from 5° to 70°, low angle first:
2θ/deg, I_rel
34.91, 46.7
38.66, 38.4
39.57, 28.6
40.29, 100.0
40.67, 49.7
41.63, 54.2
43.92, 50.6
46.99, 32.1
66.24, 23.5
67.20, 27.6

Structural model:
a b c (Å): 9.5805 9.5805 9.5805
angles (deg): 31.12 31.12 31.12
Fractional coordinates of all 13 atoms:
Ta  0.0000  0.0000  0.0000
Ta  0.3487  0.3487  0.3487
Ta  0.6513  0.6513  0.6513
Re  0.0863  0.0863  0.5807
Re  0.0863  0.5807  0.0863
Re  0.1668  0.1668  0.1668
Re  0.4193  0.9137  0.9137
Re  0.4529  0.4529  0.4529
Re  0.5471  0.5471  0.5471
Re  0.5807  0.0863  0.0863
Re  0.8332  0.8332  0.8332
Re  0.9137  0.4193  0.9137
Re  0.9137  0.9137  0.4193



Diffraction record for Ta5Re. The XRD peak list is calculated, not measured: it uses a crystal structure in OQMD, relaxed with PBE and copper Kα.

Top 10 peaks for 2θ from 5° to 70°, low angle first:
2θ/deg, I_rel
32.86, 27.5
36.96, 44.2
39.25, 100.0
39.62, 63.5
41.43, 21.9
42.47, 18.8
61.37, 19.2
62.97, 28.5
67.87, 22.2
68.90, 29.2

Structural model:
a b c (Å): 5.4512 5.4512 17.0275
angles (deg): 90.00 90.00 120.00
Fractional coordinates of all 24 atoms:
Ta  0.0000  0.0000  0.0945
Ta  0.0000  0.0000  0.4055
Ta  0.0000  0.0000  0.5945
Ta  0.0000  0.0000  0.9055
Ta  0.0000  0.5000  0.0000
Ta  0.0000  0.5000  0.5000
Ta  0.1645  0.3291  0.2500
Ta  0.1645  0.8355  0.2500
Ta  0.3291  0.1645  0.7500
Ta  0.3333  0.6667  0.6552
Ta  0.3333  0.6667  0.8448
Ta  0.5000  0.0000  0.0000
Ta  0.5000  0.0000  0.5000
Ta  0.5000  0.5000  0.0000
Ta  0.5000  0.5000  0.5000
Ta  0.6667  0.3333  0.1552
Ta  0.6667  0.3333  0.3448
Ta  0.6709  0.8355  0.2500
Ta  0.8355  0.1645  0.7500
Ta  0.8355  0.6709  0.7500
Re  0.3333  0.6667  0.1243
Re  0.3333  0.6667  0.3757
Re  0.6667  0.3333  0.6243
Re  0.6667  0.3333  0.8757



Diffraction record for Ta3Re. The XRD peak list is calculated, not measured: it uses a crystal structure in OQMD, relaxed with PBE and copper Kα.

Top 5 peaks for 2θ from 5° to 70°, low angle first:
2θ/deg, I_rel
38.12, 100.0
47.08, 22.1
62.17, 19.4
68.78, 7.2
68.97, 14.3

Structural model:
a b c (Å): 5.4462 5.4462 5.4462
angles (deg): 138.48 138.48 60.16
Fractional coordinates of all 4 atoms:
Ta  0.0000  0.0000  0.0000
Ta  0.2500  0.7500  0.5000
Ta  0.7500  0.2500  0.5000
Re  0.5000  0.5000  0.0000



Diffraction record for Ta2Re3. The XRD peak list is calculated, not measured: it uses a crystal structure in OQMD, relaxed with PBE and copper Kα.

Top 10 peaks for 2θ from 5° to 70°, low angle first:
2θ/deg, I_rel
35.14, 19.1
37.82, 73.3
38.96, 36.6
39.80, 36.6
40.89, 55.5
41.89, 100.0
42.94, 36.9
44.04, 14.9
66.56, 24.6
67.67, 24.6

Structural model:
a b c (Å): 9.8086 9.8086 5.1074
angles (deg): 90.00 90.00 90.00
Fractional coordinates of all 30 atoms:
Ta  0.0556  0.2603  0.0000
Ta  0.1052  0.1052  0.5000
Ta  0.2397  0.5556  0.5000
Ta  0.2603  0.0556  0.0000

Because for all the face painting done every election by politicians (lipstick on pigs comes to mind), it really isn't about the will of the people. It's about power.

Nobody runs for office unless they want the power to tell people how to run their lives.

To accomplish that goal, they gerrymander legislative districts to make sure the party not in power in any given state following the dicennial census has no chance to win a majority of state legislative and Congressional seats. Happens every ten years.

In Idaho, where there is no effective Democratic opposition (due to some really, really poor decision-making by the party's leadership), the gerrymandering was designed mainly to try and force out moderate Republicans in favor of more conservative Republicans closer in thinking to the strongly conservative party leadership. It was one of the reasons Tim Corder lost to Bert Brackett, but there were some really egregious cases in northern Idaho.

And there were some really bizarre gerrymandering cases around the country. Both parties play the game, but in the 2010 elections one of the overlooked results was the large number of state legislatures that wound up being controlled by the Republican Party.

So the normal gerrymandering that occurs after every census will give the GOP a slight edge, overall, at least until the next census in 2020. But it has been interesting to see, with the increased state control by Republicans, how many pieces of legislation have been introduced -- exclusively by the Republican party -- to limit participation in elections. Those limits are all designed to disenfranchise minorities and the poor, or to restrict their ability to exercise their franchise to vote. Why? Because very few minorities and the poor vote Republican. So, functionally, if they won't vote for the GOP, don't let them vote at all.

All these bills are solutions looking for a problem, since the level of individual voter fraud in recent years has dropped to virtually nothing.

It's not like the "good old days" when Lyndon Johnson could get more votes than registered voters in his congressional district, or John Kennedy could get elected president on the strength of the cemetery vote in Mayor Richard J. Daley's Chicago. Or, for that matter, the silly games played in Florida and Ohio in 2000 and 2004 by the GOP-controlled election boards there that left people wondering just who had won those critical states in the presidential election. Note that in all four of those cases, voter fraud did not happen at the level of the individual voter. All resulted from the political machinery that controlled counting the votes.

So at a time when fewer and fewer Americans are voting, failing to exercise a crucial right that very few people in the world have, we've got people running around trying to make it harder to vote.

And that bothers me. I don't care if some guy is a drunken bum living in the gutter who wants to vote for the Adolph Hitler Party, he has a right to vote. I shouldn't make it difficult for him simply because I oppose his politics. In America, with the exception of certain felons in certain states, every person over the age of 18 has a right to vote. Trying to deny that, or put roadblocks between that person and the voting booth, is wrong.

You shouldn't have to cheat, or stack the rules, to guarantee you'll win.

Americans also have an obligation to vote, one not enough of us exercise. Look at it this way. If only half the eligible voters register, and only half the registered voters vote, that's only a quarter of the people even casting a ballot. If the race, say for president, is close, somewhere near 50 percent for the win in a given state, those numbers mean that just over 12.5 percent of the population elected the president. So much for majority rules and mandates.

It would be nice, if the citizens of this nation turned out in large numbers to vote each year. It would be even nicer if the majority of them would be willing to do some study and actually learn about the candidates. But that may be asking too much.

I dream of a balanced, well-educated electorate that conscientiously studies the issues and candidates and exercises their franchise to vote.

I live in Wolkenkuckucksheim.